### Entries
[1]
{"formula": "C20H28N2O2", "method": "wB97M-V/def2-TZVPD", "smiles": "Cc1ccc(C(=O)C2CCN(CC(=O)NC3CCCC3)CC2)cc1", "relative_energy_kcal_mol": 24.5, "fmax_ev_per_a": 0.560, "symbols": ["O", "O", "N", "N", "C", "C", "C", "C", "C", "C", "C", "C", "C", "C", "C", "C", "C", "C", "C", "C", "C", "C", "C", "C", "H", "H", "H", "H", "H", "H", "H", "H", "H", "H", "H", "H", "H", "H", "H", "H", "H", "H", "H", "H", "H", "H", "H", "H", "H", "H", "H", "H"], "positions_angstrom": [[0.18, 0.04, 1.49], [2.66, 0.64, -2.75], [1.95, -0.12, -0.75], [-0.13, 1.74, -0.80], [0.19, 2.77, 1.38], [2.88, -2.27, 0.03], [-5.08, -2.79, -0.97], [3.84, -0.25, 0.86], [3.16, -0.82, -0.39], [-3.99, -1.91, -0.42], [-1.69, -1.22, -0.36], [-2.06, 2.64, 0.36], [-1.98, -0.26, 0.61], [-0.88, 0.56, 1.17], [-1.47, 2.26, -1.00], [-4.27, -0.99, 0.58], [-3.28, -0.17, 1.09], [0.67, 2.72, -0.08], [1.82, 0.59, -1.88], [-2.69, -2.02, -0.88], [4.77, -1.37, 1.32], [0.47, 1.30, -2.04], [4.13, -2.68, 0.83], [-1.16, 2.04, 1.44], [0.08, 3.80, 1.72], [4.82, -3.23, 0.19], [1.72, 2.42, -0.12], [0.90, 2.26, 2.04], [-6.01, -2.24, -1.06], [-4.80, -3.20, -1.94], [3.83, -0.78, -1.25], [-1.47, 3.13, -1.68], [2.00, -2.28, 0.67], [0.59, 3.71, -0.55], [-3.09, 2.29, 0.44], [4.37, 0.68, 0.65], [-2.07, 1.48, -1.47], [-0.67, -1.32, -0.71], [5.76, -1.24, 0.86], [1.25, -0.06, -0.02], [3.86, -3.33, 1.66], [-1.60, 2.13, 2.43], [-0.21, 0.58, -2.52], [0.63, 2.13, -2.75], [-5.28, -0.91, 0.96], [-5.25, -3.63, -0.29], [-3.52, 0.52, 1.88], [-2.07, 3.73, 0.49], [2.70, -2.92, -0.82], [-2.45, -2.74, -1.64], [3.07, -0.06, 1.61], [4.90, -1.36, 2.40]]}

***

[2]
### What to do
Start at the top of the entries earlier on and print each line, ending with the one that has "[2]", please.
### Done
[1]
{"formula": "C20H28N2O2", "method": "wB97M-V/def2-TZVPD", "smiles": "Cc1ccc(C(=O)C2CCN(CC(=O)NC3CCCC3)CC2)cc1", "relative_energy_kcal_mol": 24.5, "fmax_ev_per_a": 0.560, "symbols": ["O", "O", "N", "N", "C", "C", "C", "C", "C", "C", "C", "C", "C", "C", "C", "C", "C", "C", "C", "C", "C", "C", "C", "C", "H", "H", "H", "H", "H", "H", "H", "H", "H", "H", "H", "H", "H", "H", "H", "H", "H", "H", "H", "H", "H", "H", "H", "H", "H", "H", "H", "H"], "positions_angstrom": [[0.18, 0.04, 1.49], [2.66, 0.64, -2.75], [1.95, -0.12, -0.75], [-0.13, 1.74, -0.80], [0.19, 2.77, 1.38], [2.88, -2.27, 0.03], [-5.08, -2.79, -0.97], [3.84, -0.25, 0.86], [3.16, -0.82, -0.39], [-3.99, -1.91, -0.42], [-1.69, -1.22, -0.36], [-2.06, 2.64, 0.36], [-1.98, -0.26, 0.61], [-0.88, 0.56, 1.17], [-1.47, 2.26, -1.00], [-4.27, -0.99, 0.58], [-3.28, -0.17, 1.09], [0.67, 2.72, -0.08], [1.82, 0.59, -1.88], [-2.69, -2.02, -0.88], [4.77, -1.37, 1.32], [0.47, 1.30, -2.04], [4.13, -2.68, 0.83], [-1.16, 2.04, 1.44], [0.08, 3.80, 1.72], [4.82, -3.23, 0.19], [1.72, 2.42, -0.12], [0.90, 2.26, 2.04], [-6.01, -2.24, -1.06], [-4.80, -3.20, -1.94], [3.83, -0.78, -1.25], [-1.47, 3.13, -1.68], [2.00, -2.28, 0.67], [0.59, 3.71, -0.55], [-3.09, 2.29, 0.44], [4.37, 0.68, 0.65], [-2.07, 1.48, -1.47], [-0.67, -1.32, -0.71], [5.76, -1.24, 0.86], [1.25, -0.06, -0.02], [3.86, -3.33, 1.66], [-1.60, 2.13, 2.43], [-0.21, 0.58, -2.52], [0.63, 2.13, -2.75], [-5.28, -0.91, 0.96], [-5.25, -3.63, -0.29], [-3.52, 0.52, 1.88], [-2.07, 3.73, 0.49], [2.70, -2.92, -0.82], [-2.45, -2.74, -1.64], [3.07, -0.06, 1.61], [4.90, -1.36, 2.40]]}

***

[2]